
Bluest Realities' Anthropology: Creation Of Phantasies

[Reader discretion advised: There'll be usage of mature language. There's currently a weak amount of sensual scenes, and no gore yet: later in the story when I add more content.] Series: (Chronicling Bluest Realities) Hiding many unknown secrets beyond what the chaos eyes see... For what a false sense of safety, only leads to a false sense of happiness... That cannot be judge to the entities beyond. As we together are the one watching above as one of them, staring down upon those mortals wanting a change... Throughout one of many realities, depicted as one of many phantasies. Are solely letting them experience outside the box of unknown taboos... True-Synapsis: In an overly-developed cloudy dystopian world. Colton [Kyhireol] always dreams childish wonders upon a fantasy beyond. Always trying to find ways for himself to somehow enjoy his desiring emotions inside. Before deciding to test out another test with his friends that he wishes were real… In which, prepares a technical helmet created by his mother and helped by his father to do some functional testing again… Which creates his “neurological copy” into the cyberspace data network into the enchanting “New World.” Solely there to experience what he wished he experienced here now over anew. Letting many unknown factors slip throughout the slipstream of his vision. Because, a bright happy world he may see may bring new happy memories together with his friends and new friends… Forever? But there’s something inside him watching he fears - waiting for something to happen beyond. Because what creation brings, destruction comes after… For what history falls into a whirlpool of temporal repetition. Seeing only eyes, eyes staring down upon him from above the foggy clouds of the ȼīⱦɏ. Raining paint that splashes and spreads into multiple black puddles of unknown certainties. Looking at a reflection of the “New World'' being perceived as what lives on tainted… Or what story closes in his hands to follow a new story ahead from the tragedy upon infinity. Peeking through the spectrum of pressure and emotions away. Letting colorful tones bleed and change the feeling beyond the story's comprehension! Loosely letting the warm colors bring his soul a light while his friend’s antics are soothing alright. Tearing and ripping the walls beyond these fantasies. Traveling deeper, darker, and harsher into the abyss where it shall go. Cause nothing at heart, will stake along… Only reminding him the paper he has at hand, glaring through the portraits of unknown histories, arts, changes, and emotions—for what experience and reality beyond these “New Worlds” ahead…

LykhosRegula · Fantasia
Classificações insuficientes
7 Chs

| What Is He Planning?

I open the wooden door into the animated library. Where I see Vialtogen silently reading a bluish-orange thick cover book in the middle of the tree's library.

Wearing a stitched up polka dotted blue and white bunny sweatshirt-hoodie. Then my heart begins to ache a bit, but it wasn't that bad.

I begin to look for books to read, but all the bookshelves are paneled with glass. So I was going to ask Vialtogen, but then a thin sheet of paper flew into my face:

Please~ doꞥ'ⱦ bother me. Simply go select a book application up the stairs where you'll see a panel and a hologram.

Decide if you have to study for a bit before we go out later. It's not important.

If you need food and/or water - go enter the cafeteria from the left room on the first floor - where there'll be a selection menu to your right.

If you're thinking about Cronixel, they are busy maintaining important work in the temporal stargram room.

Should've given you a device to make it easier to get what you want. So, one of the cleaner robots in the library should be giving it to you right about now.

I look from my side, seeing a little circular white robot scoot towards me to nudge my leg. Before opening its top to reveal a wrist band and a cute memo.

Reading the pink memo note that says: Enjoy yourself. While showing a sharply light doodle of Vialtogen offering his heart to me.

Which reminded me of my father's goofy artwork that's somewhat a sad familiar feeling to regret as well. Causing me to become lost in thought reminiscing more and more about my old life's reality.

Until I begin turning the memo to the otherside from something drawing me in, magically writing: I'm sorry…

I didn't understand what it meant exactly, they are sorry for what? The ceremony?

I stick the memo back onto the robot's front out of artlessness, before running upstairs.

Then I begin viewing the application panel. What greets me, was the enormous amount of book selection options to the point that my mind became overwhelmed for which books to choose.

And I wanted to ask the professional in the middle of the room for any suggestions either way.

Making my move to the giant light blue bark tree to get Vialtogen's confirmation. "I need to ask, for... If you'll, uh, suggest a few books," I awkwardly said, while slowly peeking above to see Vialtogen's response on top from the branches and vines.

While the time ticked the seconds away—there was no response, only hearing the sound of page flipping and birds chirping quietly in the distant ambience.

Before he mumbles a few syllables, "Er-, ne~vermind," he sheepishly beeped. Slowly turning his body away from my sight - fidgeting with his zipper uncomfortably.

Until he freakishly snapped his body back at me, while fluently rotating his body under the branch like a monkey.

"Here's the book," he gladly notified, while dangling his book he was reading from the second floor.

As he was preparing to drop the book intentionally. The book's eye-tree-symbol cover flew open—spilling out hundreds of books out of its pages that looked disorientating to the eyes.

As the books spilled, they began to flutter and float mid air—descending onto the wooden counter neatly stacked into categories.

A few minutes passed after I began reading a book, which I randomly chose from the pile with Vialto. It's a historic religious book called, "Yalestistosic Ether Theology."

While Vialto is relaxing comfortingly in silence beside me the entire time when I started reading - trying to not be a bother.

"Um, Vialto, could~ you explain what these symbols read?" I comfortably asked Vialto, carefully showing him the page while I tried to point at the scripture for him to analyze.

Vialto, who only took a glance, lit up a blank expression before explaining it. "Multiple types of 'Yalestistoses' appeared in the religious theocratic nation of Xraakzialft, believing that those are the creations from God's blood.

Which shook the heavens and planes of 'Uhiriftva' - bringing new blessings to the land. Believing it's the Yalestistoses' field that enlightens one's soul, intellect, and being with one's affinities." He eloquently spoke - leaving a lot of information out to compile without explanation.

Until I realized… Who even translated this book? And why didn't they translate some of these sentences? Actually, that's a useless thought…

Taking a quick glance at Vialto, who's shaking his head - supposedly reading my thoughts and saying, (I didn't translate it.) Ri~ght…

"Little brother, where would you like to go see in this supposedly small world?" Vialto changed the topic while he asked me in a pleasant tone—lowering himself to look straight up at me, while wagging his tail excitedly.

I was a bit flustered from what Vialto said to me.

Little brother? Wait, wait, nevermind that myself, for I should be answering his question. "I don't know where to go in this world. I would prefer to stay here with you."

Vialto didn't say anything while probably staring off into space—shifting his hoodie's ears erratically.

"If that's your answer, so be it," he respectfully said before reverting back to his original laid back position - apparently not caring in the slightest...

🜛 🜛 🜛

In a vast open field being shone by the sunlight; brimming with orange, yellow, blue, and violet plume and cluster shape flowers blooming from the greenish blue grass. Where it was peaceful for animals and creatures to locate, as the soft noise of the wi–

"P-please~ I don't want to beat up anything—I just wanted to read some books!" I irritatedly said towards Vialto, who's glancing at me as if I was a child having a tantrum - looking ever so glad without a hint of irritation.

"The input, 'stay here with you,' is exactly what you had elaborated. And look on the bright side, we're outside." Vialto excitedly noisened while bouncing his ears and tail at the same beat—letting his hoodie's ears fly in the temperate breeze.

"Yes, indeed it is very beautiful… But about my consent to smack nature, isn't really that exciting… Unless we are only sightseeing for something new we can create together," I apprehensively voiced my minor complaint again.

Vialto stopped in the midst of the field from my words, before sitting down to look up towards the skies, talking to air. "You're so~ fun at events and parties. How would you even try the many fun games in these worlds then? But, at least you like books and art..."

As his ears and head lowered slightly, before looking right back at me. "You can spar with me in the future, and I'll limit my capabilities as well!"

After that awkward silence of imaginary crickets cricketing. I finally laid next to Vialto in the patch of grass and flowers, and I began to skygaze as well. "Isn't that the same thing?" I lowly-bitterly spoke. "And I don't even have a weapon, or ah, and accessories," pausing in long silence while my intrusive thoughts kick in, "could I~ ride on you till we get there?"

Vialto looks at me, while immediately changing his outfit in a snap of his fingers into his regular over the top steampunk outfit. Except it has an added soft brown leather saddle and golden strap attachment onto his back - somehow knowing one day I would ask this futile question in advance.

He lowers his back in front of me, while waiting for me to get on—so I did.

**Here the piece breaks off for crystal structures:**
/*
Record 1
For Cu3Te2S, a PBE-relaxed structure gives the simulated powder XRD pattern in this record (Cu Kα).
No peak broadening, texture or thermal motion is included.

Top 10 peaks for 2θ from 5° to 70°, sorted by position:
2θ/deg, Rel. int.
21.92, 168
29.58, 556
30.84, 1000
33.39, 209
36.54, 143
41.80, 255
42.75, 643
43.76, 575
46.46, 250
56.04, 173

Crystal structure
```
Cu3Te2S
1.0
5.8640 -3.6572 0.0000
5.8640 3.6572 0.0000
0.0000 0.0000 5.3565
Cu Te S
6 4 2
Direct
0.0562 0.9438 0.5000
0.3441 0.3682 0.0991
0.3682 0.3441 0.5991
0.6318 0.6559 0.0991
0.6559 0.6318 0.5991
0.9438 0.0562 0.0000
0.0105 0.3265 0.3298
0.3265 0.0105 0.8298
0.6735 0.9895 0.3298
0.9895 0.6735 0.8298
0.3565 0.6435 0.3637
0.6435 0.3565 0.8637
```



Record 2
For Tl3Cu2Br2Cl5, a PBE-relaxed structure gives the simulated powder XRD pattern in this record (Cu Kα).
No peak broadening, texture or thermal motion is included.

Top 10 peaks for 2θ from 5° to 70°, sorted by position:
2θ/deg, Rel. int.
20.51, 244
24.89, 668
25.54, 1000
30.13, 247
32.97, 838
36.42, 743
44.62, 297
51.05, 220
52.46, 254
63.37, 250

Crystal structure
```
Tl3Cu2Br2Cl5
1.0
-2.4666 2.4666 12.9921
2.4666 -2.4666 12.9921
2.4666 2.4666 -12.9921
Tl Cu Br Cl
3 2 2 5
Direct
0.0000 0.0000 0.0000
0.1778 0.1778 0.0000
0.8222 0.8222 0.0000
0.4073 0.4073 0.0000
0.5927 0.5927 0.0000
0.3095 0.3095 0.0000
0.6905 0.6905 0.0000
0.0915 0.5915 0.5000
0.4085 0.9085 0.5000
0.5000 0.5000 0.0000
0.5915 0.0915 0.5000
0.9085 0.4085 0.5000
```



Record 3
For Zn2AgH2, a PBE-relaxed structure gives the simulated powder XRD pattern in this record (Cu Kα).
No peak broadening, texture or thermal motion is included.

Top 10 peaks for 2θ from 5° to 70°, sorted by position:
2θ/deg, Rel. int.
24.29, 248
31.54, 679
38.85, 205
40.22, 1000
43.98, 273
47.58, 77
49.76, 133
56.11, 192
57.19, 125
65.85, 109

Crystal structure
```
Zn2AgH2
1.0
5.1830 0.0000 0.0000
0.0000 5.1830 0.0000
0.0000 0.0000 4.4793
Zn Ag H
4 2 4
Direct
0.1784 0.3216 0.0000
0.3216 0.8216 0.0000
0.6784 0.1784 0.0000
0.8216 0.6784 0.0000
0.0000 0.0000 0.5000
0.5000 0.5000 0.5000
0.2089 0.2911 0.5000
0.2911 0.7911 0.5000
0.7089 0.2089 0.5000
0.7911 0.7089 0.5000
```



Record 4
For Pr2NdI2N2, a PBE-relaxed structure gives the simulated powder XRD pattern in this record (Cu Kα).
No peak broadening, texture or thermal motion is included.

Top 10 peaks for 2θ from 5° to 70°, sorted by position:
2θ/deg, Rel. int.
9.16, 584
27.06, 1000
30.06, 883
37.91, 550
38.64, 455
49.71, 433
55.25, 368
55.79, 153
63.08, 187
64.46, 163

Crystal structure
```
Pr2NdI2N2
1.0
-2.3304 2.3304 9.6506
2.3304 -2.3304 9.6506
2.3304 2.3304 -9.6506
Pr Nd I N
2 1 2 2
Direct
0.0781 0.0781 0.0000
0.9219 0.9219 0.0000
0.5000 0.5000 0.0000
0.3325 0.3325 0.0000
0.6675 0.6675 0.0000
0.0000 0.5000 0.5000
0.5000 0.0000 0.5000
```



Record 5
For Tb2Pm5Mg5, a PBE-relaxed structure gives the simulated powder XRD pattern in this record (Cu Kα).
No peak broadening, texture or thermal motion is included.
*/
**End of the crystal structures:**

He begins warming up for a marathon, before trusting at full speed ahead on all fours towards the mountainous terrain far ahead.

I felt the breeze overtook me with my eyes unable to keep themselves open. While I struggle to hang onto his fluffy vibrating fur; feeling the changing temperatures and electricity coursing through my entire body - trying to shoo the random aching feelings away inside.

Where I believe I saw a hundred bugs pass by from the field of grass through the ever changing terrain. While I continue to count the new things I see. Then the world begins to turn ever so slowly…

His speed lowered significantly as I opened my eyes in a daze.

Viewing the tall black trees expanding everywhere, as the foggy terrain is filled with cliffs, mountains, and brooks; raining an endless amount of water and lighting from the canopies. I also saw a lot of bright insects glowing a bluish and purplish hue—dancing in the damp fog.

"The galvanic forest's ecosystem of electricity. A perfect place for stealing nature's equilibrium, which'll probably happen either way in the future.

Now wouldn't it be sad if we exited this place quickly," Vialto spoke like a tour guide while his fur began to puff up erratically from the electrical currents in the air. Maybe reminiscing about his past

"Vialto, why didn't you solely teleport us to our destination?" I loudly asked out of curiosity, while trying to steady my words from the wind taking it away.

During that short awkward pause, Vialto finally answers. "The dimensional waypoint is linked to that electric field, and it's the closest to our destination; setting a new one will take extra data and resources.

If you are asking about my 'far' teleportation powers; it only works in the pocket dimension. Unless I use stored dimensional-synergy from Lykhua's powers, but that's too~ precious to use and arduous to obtain." Vialto hurriedly explained, while still traversing the forest from tree to tree within the understory.


A long passage of time has passed while still riding on Vialto all the way to the supposed destination. Giving me a gut feeling that Vialto was arbitrarily taking me to explore the area, which I'm not against.

The view was of a similar field of grass, that bears an out of place colosseum in the middle. Where the winds weren't strong, only clear skies up high. Filling the air with an unknown fragrant aroma that feels calming.

When we entered the bright-silent colosseum up the stairs to the first tier: which is overgrown with shrubbery, vines, and grass.

Seeing unknown symbols written on the limestone pillars and walls that spread in an orderly fashion, which are slightly withered from the cracks that formed.

Vialto stood right back up on his hind legs, suggesting I get off of him—so I did. "Sit down in the podium row, or anywhere you wish," Vialto spoke, while twacking the dirt off his gloves, clothes, and boots.

I begin looking around the overgrown colosseum, before looking back where Vialto last was—he's gone…

I guess I'll lonely go to the podium alone then, I disappointedly thought to myself...